## Brief
It remains to set down the whole of the block further down unchanged.

## Listing
____________
Calculated powder X-ray diffraction pattern
Compound: BaSrTi2
Radiation: Cu Ka
Structure: a DFT-relaxed cell (GGA-PBE, Alexandria)
Lines closer than 0.1° are merged.

Cell lengths 7.863, 7.863, 7.863 Å; angles 90.00, 90.00, 90.00 degrees
Space group Fm-3m (No. 225)
Symmetry-distinct sites (fractional):
Ba1 0.000 0.000 0.000 (multiplicity 4)
Sr1 0.000 0.000 0.500 (multiplicity 4)
Ti1 0.250 0.250 0.250 (multiplicity 8)

Largest 8 diffraction maxima, sorted by position, 10 to 90 degrees two-theta:
2θ (°)	intensity
22.6	18
32.2	100
39.7	6
46.2	18
52.0	8
57.4	36
67.4	11
76.6	15

----------

This entry pairs a crystal structure of KCaSn4 with its calculated X-ray powder pattern. Radiation: Cu Kα (weighted mean of Kα1 and Kα2). Structure: a cell relaxed with PBE.
Neutral-atom scattering factors, no anomalous dispersion.

Largest 6 diffraction maxima, in order of rising 2θ, 10 to 90 degrees two-theta:
two_theta, I/Imax
14.7, 65
23.5, 48
25.0, 83
30.3, 39
33.9, 100
40.3, 78

Atomic structure:
```
data_KCaSn4
_chemical_formula_sum 'K2 Ca2 Sn8'
_space_group_name_H-M_alt 'C 1 2/m 1'
_space_group_IT_number 12
_cell_length_a 7.7458
_cell_length_b 4.4762
_cell_length_c 12.3581
_cell_angle_alpha 90.00
_cell_angle_beta 101.97
_cell_angle_gamma 90.00
loop_
_space_group_symop_operation_xyz
'x,y,z'
'-x,-y,-z'
'-x,y,-z'
'x,-y,z'
'x+1/2,y+1/2,z'
'-x+1/2,-y+1/2,-z'
'-x+1/2,y+1/2,-z'
'x+1/2,-y+1/2,z'
loop_
_atom_site_label
_atom_site_fract_x
_atom_site_fract_y
_atom_site_fract_z
_atom_site_occupancy
K1 0.0000 0.0000 0.0000 1
Ca1 0.0000 0.5000 0.5000 1
Sn1 0.0943 0.5000 0.7844 1
Sn2 0.1102 0.0000 0.3305 1
```
____________

## Worked solution
Calculated powder X-ray diffraction pattern
Compound: BaSrTi2
Radiation: Cu Ka
Structure: a DFT-relaxed cell (GGA-PBE, Alexandria)
Lines closer than 0.1° are merged.

Cell lengths 7.863, 7.863, 7.863 Å; angles 90.00, 90.00, 90.00 degrees
Space group Fm-3m (No. 225)
Symmetry-distinct sites (fractional):
Ba1 0.000 0.000 0.000 (multiplicity 4)
Sr1 0.000 0.000 0.500 (multiplicity 4)
Ti1 0.250 0.250 0.250 (multiplicity 8)

Largest 8 diffraction maxima, sorted by position, 10 to 90 degrees two-theta:
2θ (°)	intensity
22.6	18
32.2	100
39.7	6
46.2	18
52.0	8
57.4	36
67.4	11
76.6	15

----------

This entry pairs a crystal structure of KCaSn4 with its calculated X-ray powder pattern. Radiation: Cu Kα (weighted mean of Kα1 and Kα2). Structure: a cell relaxed with PBE.
Neutral-atom scattering factors, no anomalous dispersion.

Largest 6 diffraction maxima, in order of rising 2θ, 10 to 90 degrees two-theta:
two_theta, I/Imax
14.7, 65
23.5, 48
25.0, 83
30.3, 39
33.9, 100
40.3, 78

Atomic structure:
```
data_KCaSn4
_chemical_formula_sum 'K2 Ca2 Sn8'
_space_group_name_H-M_alt 'C 1 2/m 1'
_space_group_IT_number 12
_cell_length_a 7.7458
_cell_length_b 4.4762
_cell_length_c 12.3581
_cell_angle_alpha 90.00
_cell_angle_beta 101.97
_cell_angle_gamma 90.00
loop_
_space_group_symop_operation_xyz
'x,y,z'
'-x,-y,-z'
'-x,y,-z'
'x,-y,z'
'x+1/2,y+1/2,z'
'-x+1/2,-y+1/2,-z'
'-x+1/2,y+1/2,-z'
'x+1/2,-y+1/2,z'
loop_
_atom_site_label
_atom_site_fract_x
_atom_site_fract_y
_atom_site_fract_z
_atom_site_occupancy
K1 0.0000 0.0000 0.0000 1
Ca1 0.0000 0.5000 0.5000 1
Sn1 0.0943 0.5000 0.7844 1
Sn2 0.1102 0.0000 0.3305 1
```